Brangus Glee Superstar Winkelhaus-Style

Title: Brangus Glee Superstar Winkelhaus-Style
Author: Bastian "Death Star" Winkelhaus
Date: Aug 22, 2000 Rating: 4.5



‘Objective (1) Set your course for Alderaan

Locations (11) Death Star Alderaan Wakelmui Death Star War Room Death Star Docking Bay x3 Cantina Hoth Wampa Cave Hoth Ice Plains Dagobah Cave

(These quantum chemistry results were left in the article by mistake)
'''
ORCA calculation (the ωB97M-V functional and the def2-TZVPD basis) on a cluster of 2 separate species, C5H10O3 in total.

SMILES string = CCC=O.O=CCO
Highest occupied orbital energy = -9.79 eV

```
! wB97M-V def2-TZVPD RIJCOSX def2/J DEFGRID3
* xyz 0 1
C -1.60 -0.23 -0.57
C 1.67 -0.45 -1.26
O -1.38 0.17 -1.69
O 1.28 0.30 -2.37
H 0.32 0.48 -2.32
H 0.93 -1.21 -0.97
H -2.00 -1.24 -0.40
H 2.59 -0.99 -1.55
C -1.41 0.58 0.67
C -1.01 -0.26 1.88
C 2.04 0.40 -0.07
O 2.21 -0.02 1.05
H 2.16 1.47 -0.32
H -2.38 1.04 0.87
H -0.69 1.38 0.49
H -0.01 -0.67 1.75
H -1.00 0.36 2.78
H -1.70 -1.08 2.03
*
```

ORCA calculation (the ωB97M-V functional and the def2-TZVPD basis) on a cluster of 3 separate species, C5H10O3 in total.

Highest occupied orbital energy (spin up / spin down) = -6.50 / -6.85 eV

```
! wB97M-V def2-TZVPD RIJCOSX def2/J DEFGRID3
* xyz 0 1
C 2.02 -0.59 -0.84
C -2.72 0.04 0.17
C 0.31 1.40 1.34
C -0.10 0.45 0.32
C -0.42 -0.37 -0.50
O 2.80 -0.18 0.24
O 2.06 -1.97 -1.05
O -3.27 -0.35 -1.04
H 3.72 -0.50 0.13
H 1.76 -2.40 -0.24
H -3.19 0.38 -1.67
H 2.24 -0.09 -1.78
H -2.87 -0.72 0.92
H -2.92 1.07 0.48
H -0.70 -1.08 -1.25
H -0.20 1.20 2.28
H 1.39 1.29 1.49
H 0.10 2.43 1.03
*
```

ORCA calculation (the ωB97M-V functional and the def2-TZVPD basis) on a structure of composition C5H10O3.

Highest occupied orbital energy = -10.17 eV

```
! wB97M-V def2-TZVPD RIJCOSX def2/J DEFGRID3
* xyz 0 1
C 0.91 -2.27 -1.42
C -0.28 -0.72 -0.02
C -0.86 -0.54 1.40
C 0.16 1.34 0.66
C -0.22 2.56 0.03
H 2.32 -2.26 -1.08
H 0.66 -1.49 -2.61
H 0.18 -3.33 -1.55
H -1.07 -1.19 -0.71
H -1.86 -0.88 1.99
H -0.16 -0.99 2.08
H 1.27 1.27 1.22
H -0.26 3.84 0.66
H 0.39 2.53 -0.94
H -1.18 2.42 -0.54
O 0.78 -1.61 -0.07
O -0.92 0.88 1.52
O 0.15 0.45 -0.63
*
```

Calculated energy relative to the best compared isomer or geometry (same formula, charge and spin), 37.5 176.9 195.7 kcal/mol (same order as the records).
Calculated maximum force, 0.56 1.86 6.38 eV/A (same order as the records).
Calculated total energy, -11488.559 -11482.516 -11481.701 eV (same order as the records).

----------

Entry 1:
The following is a DFT calculation (ωB97M-V/def2-TZVPD) of a structure of composition C29H27CaF3N3O5S5 at a distorted geometry.

Calculated values
Total charge: -1
HOMO level (eV): -4.0
Calculated total energy (a.u.): -4630.17747
Energy above the lowest of the compared OMol25 structures with the same formula, charge and spin (kcal per mole): 10.0
LUMO energy (eV): 2.12
Gap between HOMO and LUMO (Ha): 0.2238

XYZ file:
```
73
Properties=species:S:1:pos:R:3:forces:R:3:mulliken_charge:R:1
Ca -0.2101 0.8183 0.4529 0.7 -2.0 -1.2 0.1053
S -0.6934 -3.9311 0.3790 0.0 0.0 0.2 -0.4552
C -1.2836 -3.7749 -1.2338 0.4 0.7 0.0 0.3424
C -2.2609 -4.6020 -1.7991 0.1 0.1 -0.3 -0.5683
C -2.7529 -4.3474 -3.0686 -0.1 -0.2 0.1 -0.4076
C -2.2962 -3.2638 -3.7994 0.0 0.1 -0.3 -0.9489
C -1.3133 -2.4315 -3.2777 0.1 0.0 0.0 -0.3406
C -0.7931 -2.6816 -2.0163 -0.3 -0.6 0.1 -0.2284
S 0.4704 -1.7302 -1.1963 -0.1 0.5 -0.8 0.3262
'''
(End of the quantum chemistry results)

Characters (14) Brangus Glee x3 EPP Vader Darth Vader, DLOTS Mara Jade Sim Aloo IG-88 with riot gun Dengar with gun Jabba the Hutt Admiral Ozzel Prophetess Barquin Dan Myom Onith

Starships (6) Zuckuss in Mist Hunter Boba Fett in Slave 1 Bossk in Hounds Tooth The Emperors Sword The Emperors Shield Death Star Assault Squadron

Interrupts (16) Prepared Defenses Masterful Move Dark Maneuvers Twilek Advisor Imperial Barrier x2 A dangerous time Put all sections on alert x3 Frustration Unexpected Interruption Set for stun Id just as soon kiss a wookie Overload Monnok

Effects (12) Battle Order First Strike Mobilization Points There is no try Come here you big coward Imperial Decree Blast Door controls Reactor Terminal Broken Concentration Lateral Damage Sienar Fleet Systems Failure at the cave’

Strategy: ‘

***** UPDATE 1 ******** If youre really afraid of Brangus Glee dying to attrition, you missed something. Situation Brangus at the docking bay, opponent has a 5 stacked and attacks. Reaction As a react, deploy either the Sword or the Shield and retrieve 3 force Draw a destiny. Result Your squadron goes to the lost pile, your opponent looses his character. And what do I do with cards in the lost pile??? You got the point I guess. If they swing at Mr. Glee and hit, deploy the next one and get the first one back for a DB. Enjoy. **************** ******* UPDATE 2 ******* Due to popular demand, Janus Greejatus belongs in this deck. I dont own one yet, so I missed him. Hes going to replace Jabba. And Id just as soon kiss a wookie should be replaced by a second dangerous time. This card is just too damn good. ****************

~~~
# C8H9NS

A single C8H9NS molecule in a non-equilibrium geometry (the ωB97M-V functional and the def2-TZVPD basis, OMol25).

E	-20761.638	eV
net charge	0
ΔE to the lowest compared entry with this formula, charge and spin	387.8	kJ/mol
molecular weight	151.234	g mol⁻¹
F_max	0.108	hartree/bohr
Kohn-Sham gap (alpha / beta)	6.99 / 7.15	eV

Last columns: bonded neighbours and bond lengths (Å).
Element x y z (Å)
1 C -2.27170 1.01300 -0.44295  C2 1.302, C4 1.429, H11 1.165
2 C -2.93076 -0.08604 -0.21229  C1 1.302, N9 1.345, H12 1.055
3 C -1.14934 -1.14235 0.73220  C5 1.340, N9 1.395, H13 1.064
4 C -0.91338 1.13709 -0.01646  C1 1.429, C5 1.422, C7 1.371
5 C -0.41707 -0.02450 0.63715  C3 1.340, C4 1.422, C6 1.446
6 C 0.83737 0.12128 1.34192  C5 1.446, S10 1.927, H14 1.126, H15 1.100
7 C -0.44353 2.26521 -0.63796  C4 1.371, H16 1.088
8 C 2.28294 -0.18125 -1.40893  S10 1.784, H17 1.031, H18 1.071, H19 1.156
9 N -2.49495 -1.21677 0.37134  C2 1.345, C3 1.395
10 S 2.38037 0.48083 0.24466  C6 1.927, C8 1.784
11 H -2.79657 1.88091 -1.01620  C1 1.165
12 H -3.95798 -0.13554 -0.44875  C2 1.055
13 H -0.84855 -1.90447 1.41137  C3 1.064
14 H 0.76104 1.11546 1.86561  C6 1.126
15 H 0.94658 -0.67483 2.09250  C6 1.100
16 H -0.78853 3.26927 -0.40129  C7 1.088
17 H 1.33239 -0.21103 -1.80704  C8 1.031
18 H 2.66020 -1.18222 -1.47078  C8 1.071
19 H 2.77579 0.52927 -2.17661  C8 1.156

~~~~~

80
Properties=species:S:1:pos:R:3 method="wB97M-V/def2-TZVPD" fmax_ev_per_a=4.4 spin_multiplicity=5 charge=+2 de_lowest_kj_mol=34.9 gap_ev="6.28 / 2.52"
C -1.98 3.36 -6.51
H -0.08 3.49 -0.71
H 2.29 -1.41 -0.69
N -2.24 1.21 -7.25
H 1.22 2.71 -3.26
C -1.58 0.72 -2.07
H -1.79 4.17 -5.82
H -0.03 -0.82 -4.41
H 3.14 -3.71 -11.32
H 5.57 1.90 -6.66
H -1.96 2.10 -0.44
C 2.78 -3.50 -10.32
H 0.09 2.08 3.62
C -4.47 -0.26 -8.69
H -3.90 -2.92 -6.85
H 0.77 -2.43 -0.70
P -2.15 -0.56 -6.97
C 0.39 -0.22 -8.41
H 0.87 1.58 1.24
C 2.40 -2.24 -9.83
P 1.58 -1.00 -7.25
H 2.33 -1.32 -10.39
N 2.11 -2.33 -8.47
H -2.42 1.66 -9.36
H -2.09 1.60 -5.17
C -0.28 2.90 -1.62
H -0.78 3.60 -2.31
F -2.04 1.00 4.69
H -2.51 0.18 -1.82
C -1.58 0.71 3.43
C -1.23 1.82 -1.23
H 2.82 -5.48 -9.28
C -2.28 2.06 -8.36
H 0.34 0.86 -8.15
C -0.73 0.17 0.91
H 2.43 0.90 -1.36
C -1.16 0.80 -3.51
C -1.88 -0.47 1.37
H 2.06 -3.99 -7.11
H -4.31 0.77 -8.91
H -2.31 4.28 -8.52
H -5.90 -3.26 -8.71
C -5.43 -1.12 -9.23
C 1.10 2.47 -2.18
H 0.79 -0.27 -9.44
C 1.12 -0.06 -2.77
C 0.17 0.15 -3.92
H 1.87 3.11 -1.69
H -0.95 -1.94 -8.52
C 4.59 1.33 -8.61
H 0.66 0.78 -4.68
N -3.73 -0.94 -7.70
C 2.25 -3.68 -8.12
C 1.26 -1.53 -0.30
H -1.97 0.34 -4.09
C -4.28 -2.23 -7.59
C -0.44 1.37 2.98
C 3.40 0.62 -8.85
N 2.90 0.15 -7.62
H -3.22 -0.68 3.10
H 5.22 1.77 -9.37
Ru -0.06 -0.20 -1.03
H 1.27 -1.52 0.80
H 3.53 0.39 -5.57
H -6.10 -0.91 -10.05
C -1.04 -0.84 -8.44
H -2.40 -1.17 0.72
H 2.88 0.46 -9.79
H -1.57 -0.47 -9.34
C -2.07 2.04 -6.14
C 4.79 1.36 -7.19
C -2.32 -0.20 2.68
C 2.64 -4.41 -9.24
H -1.06 1.87 -3.75
C -0.01 1.10 1.67
C -2.19 3.38 -7.93
C -5.31 -2.38 -8.52
~~~

This deck is not about draining your opponent into oblivion, its about controling the game and stop the opponent doing whatever he does.

This deck is all about Brangus Glees ability to exchange a docking bay from hand with the top card from lost pile. Set your course for Alderaan was most probably designed just for him because they match perfectly. First Death Star is a save haven for Mr. Glee as you cant take battle damage. Secondly you get the extra death star docking bays into hand where you need them. Put all sections on alert makes the circle complete as you can play it to get two DS docking bays from lost pile into hand. So you play Put all sections on alert, get two DBs back, then exchange one of them with the top card of lost pile which happens to be Put all sections on alert. So your net win is one card. Thats all? you might ask. But you can do it every turn Plus youre retrieving cards with first strike, Barquin Dan and the TIE-Squadrons with Sienar Fleet Systems out (retrieve 3 each time). Youre activation is killer, 5 force first turn, fetch Wakelmui, fetch the War Room, if youre lucky, deploy Brangus to the docking bay, thats 10 force second turn, not counting extra locations you might draw or force given to you by the opponent Starting effects will normally be Mob.Points, Battle Order to slow down the game and There is no try. If theyre Sensing or Altering something they loose 3 force total and your card goes to the lost pile. Exchange with a DB, play it again. Plus there are quite a few cards in here that need to be sensed or altered. Against A new secret base better start Decree.

**Quantum chemistry results from another source follow**
-- begin --
C31H40F4N6OSSiTi as an isolated structure, computed with the ωB97M-V functional and the def2-TZVPD basis.

Results
HOMO (spin up / spin down) = -5.48 / -7.18 eV
Spin multiplicity = 3
Orbital gap (spin up / spin down) = 5.549 / 7.238 eV
Net charge = 0
Energy relative to the best compared isomer or geometry (same formula, charge and spin) = 21.8 kJ/mol
⟨S²⟩ = 2.005

Atoms and positions in Å:
1 Ti 0.1633 0.3123 0.2185
2 C 4.2381 1.3733 2.2524
3 C 3.1000 1.1350 1.2634
4 N 1.8922 0.4913 1.8102
5 C 2.1731 -0.8101 2.4435
6 C 2.8092 -1.8198 1.5026
7 C 1.1867 1.3559 2.7686
8 C 0.5906 2.6113 2.1533
9 N -0.1645 2.2981 0.9424
10 C -1.1409 3.1512 0.5411
11 C -1.6115 3.0564 -0.7915
12 F -1.0120 2.1475 -1.6081
13 C -2.5991 3.8391 -1.3347
14 F -2.9373 3.6460 -2.6216
15 C -3.2279 4.8232 -0.5983
16 C -2.7942 4.9602 0.7040
17 F -3.3643 5.8952 1.4822
18 C -1.8088 4.1705 1.2642
19 F -1.5326 4.4112 2.5665
20 H 5.0351 1.9300 1.7582
21 H 4.6641 0.4363 2.6133
22 H 3.9189 1.9572 3.1161
23 H 3.4644 0.5183 0.4417
24 H 2.7893 2.0825 0.8218
25 H 1.2124 -1.2029 2.7770
26 H 2.7978 -0.6738 3.3368
27 H 2.1932 -1.9523 0.6105
28 H 2.8892 -2.7856 2.0018
29 H 3.8136 -1.5258 1.1920
30 H 1.8320 1.6377 3.6119
31 H 0.3744 0.7552 3.1801
32 H 1.3802 3.3500 1.9474
33 H -0.0208 3.0459 2.9412
34 H -4.0086 5.4421 -1.0113
35 C -2.5189 0.7901 3.0764
36 Si -1.9862 -0.9886 2.7757
37 C -3.5433 -2.0308 2.5940
38 C -1.0756 -1.5634 4.3366
39 N -1.0695 -1.0586 1.3245
40 C -0.9840 -2.2053 0.5645
41 C -0.7746 -3.5042 1.0642
42 C -0.6550 -4.6065 0.2315
43 C -0.7188 -4.4681 -1.1480
44 C -0.9143 -3.2016 -1.6877
45 C -1.0537 -2.1202 -0.8446
46 O -1.1988 -0.8125 -1.3415
47 C -1.8516 -0.6387 -2.5475
48 C -1.1665 -0.0795 -3.6110
49 C -1.8334 0.1440 -4.8067
50 C -3.1705 -0.2024 -4.9361
51 C -3.8435 -0.7692 -3.8611
52 C -3.1876 -0.9881 -2.6607
53 H -3.3830 0.8156 3.7459
54 H -2.8131 1.2576 2.1331
55 H -1.7445 1.4117 3.5306
56 H -4.0916 -2.1055 3.5358
57 H -3.3246 -3.0437 2.2499
58 H -4.2054 -1.5650 1.8590
59 H -1.7769 -1.6576 5.1704
60 H -0.3099 -0.8448 4.6416
61 H -0.5857 -2.5321 4.2109
62 H -0.7092 -3.6333 2.1381
63 H -0.5031 -5.5861 0.6682
64 H -0.6218 -5.3272 -1.7977
65 H -0.9797 -3.0546 -2.7589
66 H -0.1252 0.1893 -3.4857
67 H -1.3064 0.5915 -5.6396
68 H -3.6894 -0.0269 -5.8690
69 H -4.8885 -1.0341 -3.9557
70 H -3.6933 -1.4233 -1.8078
71 C 4.5707 -2.1495 -3.3555
72 C 3.0541 -1.9684 -3.4262
73 C 2.5991 -0.6893 -2.8084
74 N 1.8956 -0.6262 -1.7339
75 N 1.5937 0.6517 -1.3652
76 C 2.0810 1.5691 -2.1467
77 N 1.9604 2.9027 -1.8861
78 S 2.9802 0.8888 -3.4662
79 H 4.8607 -3.0999 -3.8016
80 H 4.9106 -2.1405 -2.3197
81 H 5.0912 -1.3542 -3.8913
82 H 2.5419 -2.7647 -2.8850
83 H 2.7160 -2.0071 -4.4642
84 H 1.2753 3.0828 -1.1567
85 H 1.8712 3.5142 -2.6820

C31H40GeIrO5P as an isolated structure, computed with the ωB97M-V functional and the def2-TZVPD basis.

Results
HOMO (spin up / spin down) = -14.34 / -14.55 eV
Spin multiplicity = 5
Orbital gap (spin up / spin down) = 8.116 / 5.802 eV
Net charge = +2
⟨S²⟩ = 6.048
-- stop --

This deck looks really fragile but every card can be used multiple times thats why there are so many different cards in it.

Some hints for some of the cards Frustration - anti-grabbler, just one but can be fetched with unexpected interruption Zuckuss plus Set for stun = zero destiny Overload - with a destiny of zero you can take out EPPs Prophetess - pure fun to clean the Death Star with her, predict youre gonna loose, shes only power one but it doesnt matter as you dont get battle damage Blast door controls - that one is really important, get it out quickly

This deck will certainly be a new experience for both you and your opponent. Have fun with it ‘